Centre Plus’ Mark Mortimer has adopted new technology early.
A willingness to try something new and to adopt technology early has dramatically changed the Mortimer family’s sheep breeding operation in central west NSW.
**Misplaced records of crystals:**
'''
[1]
Calculated powder XRD pattern of PaMoPN for Cu Kα (λ = 1.5418 Å), from a structure optimized by DFT (GGA-PBE).

Peak list (8 most intense, 2θ = 5–70°, low angle first)
25.18°, rel. 62
31.18°, rel. 100
31.61°, rel. 27
34.27°, rel. 60
39.02°, rel. 30
46.71°, rel. 37
54.61°, rel. 35
57.23°, rel. 37

Cell: 3.8894 3.8894 8.4925 Å, 90.00 90.00 90.00°
Atoms (fractional coordinates):
Pa (0.2500, 0.2500, 0.1427)
Pa (0.7500, 0.7500, 0.8573)
Mo (0.2500, 0.7500, 0.5000)
Mo (0.7500, 0.2500, 0.5000)
P (0.2500, 0.2500, 0.6824)
P (0.7500, 0.7500, 0.3176)
N (0.2500, 0.7500, 0.0000)
N (0.7500, 0.2500, 0.0000)

=====

[2]
Calculated powder XRD pattern of Pa3MoN7 for Cu Kα (λ = 1.5418 Å), from a structure optimized by DFT (GGA-PBE).

Peak list (8 most intense, 2θ = 5–70°, low angle first)
28.83°, rel. 98
29.14°, rel. 100
33.59°, rel. 77
48.24°, rel. 51
48.63°, rel. 15
56.99°, rel. 21
57.36°, rel. 12
57.52°, rel. 28

Cell: 6.5518 6.5518 7.4886 Å, 90.00 90.00 109.03°
Atoms (fractional coordinates):
Pa (0.0303, 0.0303, 0.0000)
Pa (0.0362, 0.4999, 0.2585)
Pa (0.4999, 0.0362, 0.7415)
Pa (0.5001, 0.9638, 0.2415)
Pa (0.9638, 0.5001, 0.7585)
Pa (0.9697, 0.9697, 0.5000)
Mo (0.4693, 0.4693, 0.5000)
Mo (0.5307, 0.5307, 0.0000)
N (0.1262, 0.8738, 0.7500)
N (0.1393, 0.8607, 0.2500)
N (0.1415, 0.4001, 0.9853)
N (0.1800, 0.4284, 0.5433)
N (0.4001, 0.1415, 0.0147)
N (0.4284, 0.1800, 0.4567)
N (0.4292, 0.5708, 0.2500)
N (0.5708, 0.4292, 0.7500)
N (0.5716, 0.8200, 0.9567)
N (0.5999, 0.8585, 0.5147)
N (0.8200, 0.5716, 0.0433)
N (0.8585, 0.5999, 0.4853)
N (0.8607, 0.1393, 0.7500)
N (0.8738, 0.1262, 0.2500)

=====

[3]
Calculated powder XRD pattern of PaMo2N4 for Cu Kα (λ = 1.5418 Å), from a structure optimized by DFT (GGA-PBE).

Peak list (8 most intense, 2θ = 5–70°, low angle first)
25.53°, rel. 40
31.49°, rel. 100
31.74°, rel. 38
41.49°, rel. 33
48.90°, rel. 38
49.07°, rel. 28
52.46°, rel. 20
66.30°, rel. 19

Cell: 6.0123 6.0123 6.0123 Å, 109.06 109.06 110.29°
Atoms (fractional coordinates):
Pa (0.3750, 0.6250, 0.7500)
Pa (0.6250, 0.3750, 0.2500)
Mo (0.0000, 0.0000, 0.0000)
Mo (0.0000, 0.0000, 0.5000)
Mo (0.0000, 0.5000, 0.0000)
Mo (0.5000, 0.0000, 0.5000)
N (0.1312, 0.6995, 0.4317)
N (0.2323, 0.3005, 0.9317)
N (0.3005, 0.2323, 0.4317)
N (0.3005, 0.8688, 0.0683)
N (0.6995, 0.1312, 0.9317)
N (0.6995, 0.7677, 0.5683)
N (0.7677, 0.6995, 0.0683)
N (0.8688, 0.3005, 0.5683)

=====

[4]
Calculated powder XRD pattern of PrMoN3 for Cu Kα (λ = 1.5418 Å), from a structure optimized by DFT (GGA-PBE).

Peak list (8 most intense, 2θ = 5–70°, low angle first)
25.89°, rel. 100
27.26°, rel. 21
29.77°, rel. 49
30.68°, rel. 23
31.79°, rel. 51
37.68°, rel. 18
46.73°, rel. 22
49.78°, rel. 15

Cell: 7.4090 7.4090 6.3489 Å, 104.01 104.01 84.20°
Atoms (fractional coordinates):
Pr (0.0910, 0.9090, 0.7500)
Pr (0.3137, 0.6863, 0.2500)
Pr (0.6863, 0.3137, 0.7500)
Pr (0.9090, 0.0910, 0.2500)
Mo (0.2002, 0.3802, 0.7538)
Mo (0.3802, 0.2002, 0.2538)
Mo (0.6198, 0.7998, 0.7462)
Mo (0.7998, 0.6198, 0.2462)
'''
The Mortimers and the members of the Centre Plus ram breeding group are enjoying the benefits of accelerated rates of genetic improvement in their flocks with generation intervals being shortened by up to a year.
Centre Plus group leader Mark Mortimer said the group’s eagerness to be at the cutting edge of research and development is built on the belief in new technology as an enabling mechanism for lifting the performance of individual producers, their flocks and the industry as a whole.
“For me there is a real excitement in finding something new, something that hasn’t been discovered before.
“Certainly, you go down some blind roads before you find the path that you need, but by the time we have bedded down one technology and are using it efficiently, we’ll be trying what the next tool is,” Mr Mortimer said.
Centre Plus group adopted new technology early
The Mortimers are based at ‘Devondale’ at Tullamore in Central West NSW and run the breeding nucleus of 1200 ewes for the Centre Plus Ram Breeding Group.
“We have always been open to new technology and virtually all the technology in use here was adopted very early,” he said.
“In the early days it was as simple as micron testing of the ewes, now we use Australian Sheep Breeding Values (ASBVs) and routine DNA testing.
“Whenever the latest genetic tools come on the market we are certainly looking at them and wanting to be involved in using them early.”
By incorporating advanced genetic measurement tools including DNA testing into the business, the Mortimers have been able to introduce proven genetics to the nucleus flock a full year earlier than under traditional management systems.
“We are objectively measuring what I call the economic traits – the ones that make you your money, while we need to give up some of our visual selection pressure,” he said.“The breeding objectives for Centre Plus have always been focused on the ‘all purpose Merino’.
“At the beginning it was growth rate, fertility and lowering micron, while holding fleece weight steady,” he said.
“Over the last decade the focus has moved from reducing micron to increasing fleece weight and improving other traits such as worm egg counts, eye muscle and staple strength.”
Centre Plus was early genomics program entrant
The Mortimers willingness to adopt new technology opened the way for Centre Plus to be an early participant in the Cooperative Research Centre for Sheep Industry Innovation (Sheep CRC) Genomics Pilot Program. The early results of that program revealed the potential gains on offer from DNA testing and as a result Mr Mortimer has since tested 20 percent of the male drop each year for traits aligned with Centre Plus’s breeding objectives.
“At weaning time about 20 of those 100 ram lambs are selected to be potential sires, and they are taken out and fed to reach breeding weight at six months.
“At that stage, six of those young rams will be chosen to go out into the mating program,” he said.
SheepCRC DNA test gave clearer genetic make-up picture
Mr Mortimer was also an early user of the Sheep CRC’s DNA test for parentage to give a clearer picture of the genetic make-up of young animals.
“When selecting a six-month old rams on the basis of genomic information, we are seeing progeny on the ground with results very close to the ASBV predictions.
“By using the six-month-old rams we’re getting the genetics into the flock a whole year earlier which will speed up our genetic gain considerably,” he said.
“So we now need to look at moving that technology further out into the Centre Plus system.
“This opens up a lot of options for Centre Plus that haven’t been embedded into the system yet, but we are in the process of working on how to best use the new genomic technologies throughout the broader Centre Plus network.”
DNA technology opens up new ways
Mr Mortimer said there was an understandable wariness in the industry about new technology, as it was human nature to be hesitant about relying on a technology when not knowing exactly how it worked.
“There are times where you have to force yourself to make changes, and back it up with measurements afterwards to make sure that it worked as expected,” he said.
“I think DNA technology is one technology that changes how you do things and many people aren’t keen to change how they have their breeding programs set up and how they operate.
“But it does open up completely new ways of doing things, which is also very exciting,” Mr Mortimer said.
“As we look for the next technological advance to improve our genetic gain – and the improving DNA technology and the Sheep CRC’s work in full sequencing looks promising – we will be keeping a close eye on the benefits that are on offer in the future.“The bottom line is that if you want to advance you normally need to change what you are doing and it’s important to take action,” he said.
“If you are presented with an opportunity to try something, you need to have a go at it but you also need to measure the outcomes very carefully so you don’t blindly accept that something new is working, if it isn’t.
“Make a decision based on the action required.”